
Intitled, Thofe who rank themfelves in order ; revealed
at Mecca.
In the name of the mod merciful God.
BY the angels who rank themfelves in order *J; and by thofe who drive
forward and difpel the cloudsb ; and by thofe who read the K o r a n for an
admonition; verily your G o d is one : the L o r d of heaven and earth, and
of whatever is between them, and the L o r d of theeaft0. W e have adorned
the lower heaven with the ornament of the ftars : and we have placed therein a
guard, againft every rebellious devil; that they may not liften to the difcourfe
o f the exalted princes, (for they are darted at from every fide, to repel them,
and a lafting torment is prepared for them ;) except him who catcheth a word
by ftealth, and is purfued by a fhining flamed. Afk the M ecc an s , therefore,
whether they b.e ftronger by nature, or the angels whom we have created ? We
have furely created them of ftiff clay. Thou wondreft at G od’ s power and their
objlinacy but they mock at the arguments urged to convince them: when they are
warned, they do not take warning ; and when they fee any fign, they feoff
thereat, and fay, This is no other than manifeft forcery: after we fhall be
dead, and become duft and bones, fhall we really he railed to life, and our
fore-fathers alfo ? Anfwer, Yea: and ye /hall then he defpicable. There
fhall be but one blaft o f the trumpet, and they fhall fee themfelves ra ifed : and
they .fhall fay, Alas for us! this is the day of judgment ; this is the day of
diftinftion between the righteous and the wicked, which ye rejected as a falfhood.
Gather together thofe who have a died unjuftly, and their comerades, and the
idols which they worfhipped befides G o d , and diredl them in the way to hell:
and fet them before G od’ s tribun a l; for they fh a ll be called to account. What
a By the angels who rank themfelves in Srder,
&c ] Some underftand by thefe words the fouls
of men who range themfelves in obedience to
G od’s laws, and put away from them all infidelity
and corrupt doings; or the fouls o f thofe
who rank themfelves in battle array, to fight for
the true religion, and pujh on their horfes to
-- Data records, as found in the file --
=====
The following is a DFT calculation (GGA-PBE) of a relaxed MgGa2 crystal.

It has space group P4_2/mnm (No. 136), with a = 5.498 Å, b = 5.498 Å, c = 5.123 Å, α = 90.00°, β = 90.00° and γ = 90.00°. The inequivalent atoms are Mg at (0.000, 0.000, 0.000) and Ga at (0.160, 0.160, 0.500).

The total magnetization is 0.0 μB/f.u. Its formation enthalpy at 0 K is 0.297 eV/atom. The value obtained for the total energy is -2.2554 eV per atom.

The following is a DFT calculation (GGA-PBE) of a relaxed MgGa5 crystal.

It has space group R32 (No. 155, hexagonal axes), with a = 5.1658 Å, b = 5.1658 Å, c = 14.5599 Å, α = 90.00°, β = 90.00° and γ = 120.00°. The inequivalent atoms are Mg at (0.0000, 0.0000, 0.0000), Ga at (0.0000, 0.0000, 0.3342) and Ga at (0.0000, 0.6682, 0.5000).

Its formation enthalpy at 0 K is -0.029 eV/atom. The value obtained for the total energy is -2.8192 eV per atom.

The following is a DFT calculation (GGA-PBE) of a relaxed MgGa3 crystal.

It has space group Pmm2 (No. 25), with a = 3.271 Å, b = 4.586 Å, c = 5.147 Å, α = 90.00°, β = 90.00° and γ = 90.00°. The inequivalent atoms are Mg at (0.000, 0.000, 0.000), Ga at (0.000, 0.500, 0.651), Ga at (0.500, 0.000, 0.499) and Ga at (0.500, 0.500, 0.170).

Its formation enthalpy at 0 K is -0.054 eV/atom. The value obtained for the total energy is -2.7256 eV per atom.

The following is a DFT calculation (GGA-PBE) of a relaxed MgGa crystal.

It has space group P3m1 (No. 156), with a = 3.0643 Å, b = 3.0643 Å, c = 15.0017 Å, α = 90.00°, β = 90.00° and γ = 120.00°. The inequivalent atoms are Mg at (0.0000, 0.0000, 0.0000), Mg at (0.0000, 0.0000, 0.3258), Mg at (0.3333, 0.6667, 0.8214), Ga at (0.0000, 0.0000, 0.6586), Ga at (0.3333, 0.6667, 0.1615) and Ga at (0.3333, 0.6667, 0.4957).

The total magnetization is 0.0 μB/f.u. Its formation enthalpy at 0 K is -0.029 eV/atom. The value obtained for the total energy is -2.3434 eV per atom.

----------

Below is an optimized crystal structure of Ac2MgTl, with properties calculated at the r2SCAN level.

Cell and atoms, written as CIF:
```
data_Ac2MgTl
_symmetry_space_group_name_H-M 'F m -3 m'
_symmetry_Int_Tables_number 225
_symmetry_space_group_name_Hall '-F 4 2 3'
_cell_length_a 8.2467
_cell_length_b 8.2467
_cell_length_c 8.2467
_cell_angle_alpha 90.00
_cell_angle_beta 90.00
_cell_angle_gamma 90.00
loop_
_atom_site_label
_atom_site_fract_x
_atom_site_fract_y
_atom_site_fract_z
Ac1 0.2500 0.2500 0.2500
Mg1 0.0000 0.0000 0.0000
Tl1 0.0000 0.0000 0.5000
```

Output
DFT formation energy = -0.27 eV/atom
M_tot = 0.0 μB/f.u.

----------

VASP calculation (PBE-GGA) on a relaxed TbCuGe crystal.

a b c (Å): 4.2680 4.2680 7.3119
angles (deg): 90.00 90.00 120.00
Space group P6_3mc (No. 186)
Unique sites:
Tb  0.0000  0.0000  0.0000 [2 per cell]
Cu  0.3333  0.6667  0.2775 [2 per cell]
Ge  0.3333  0.6667  0.7268 [2 per cell]

Uncorrected energy = -5.1413 eV/atom
Energy of formation from the pure elements = -0.689 eV per atom
=====
charge the infidels, fc 1.
b Who - drive forward the clvtids;] Or, who
put in motion all bodies, in the upper and lower
world, according to the divine command; or,
who keep off men from difobedience to G od,
by infpiring them with good thoughts and inclinations
; or, who* drive away the devils from
them, &c. 2.
c *fhe eafti] The original word, being in the
plural number, is fuppofed to fignify the different
points of the horizon, from whence the fun rifes
in the courfe of the year, which are in number
360 (equal to the number of days in the old civil
year) and have as many correlponding points
where it fucceflively fets, during that fpace 5.
Marracci groundlefly imagines this interpretation
to be built on the error of the plurality of
d See chap. 15. p. z i i .
aileth you that ye defend not one another ? But on this day they fhall fubmit
themfelves to the judgment o f G od : and they fhall draw nigh unto one another,
and fhall difpute among themfelves. A n d the feduced fhall f%y unto thofe who
[educed them, Verily ye came unto us with prefages of profperity ‘ j and thefedu~
cers fhall anfwer, Nay, rather ye were not true believers : for we had no
power over you to compel you j but ye were people who voluntarily tranf-
o-reffed: wherefore the fentence of our L o r d hath been ju-ftly pronounced
ao-ainft us, and we fhall furely tafte his vengeance. We feduced you ; . but
we alfo.. erred ourfelves. They fh a ll both therefore be_ made partakers of the
fame punifhment on that day. Thus will we deal with the wicked : becaufe,
when it is faid unto them, There is no god befides the true G o d , they
fwell with arrogance, and fay, Shall we abandon our gods for a diftradted
poet? Nay-, he cometh with the truth, and . beareth witnefs to the former
apoftles. Ye fhall furely taft the painful torment o f h e l l ; and ye fhall not
be rewarded, but according to your works. But as fo r the fincere fervants
of G o d , they fhall have a certain provifion in paradife, namely, delicious
fruits: and they fh a ll be honoured : they fh a ll be plac ed in gardens of plea-
fure, leaning on couches, oppofite to one another b: a cup fhall be carried
round unto them, filled from a limpid fountain, for the delight of thofe who
drink ; it fhall not opprefs the underftanding, neither fhall they be inebriated
therewith. And near them fh a ll lie the virgins o f paradife, refraining
their looks from beholding any befides their fpoufes, having large black eyes, and
refembling the eggs o f an ojlrich covered with fea th e rs from the d u ft'. And they
fhall turn the one unto the other, and ■ fhall afk one another queftions. And
one of them fhall fay, Verily I had an intimate friend while I lived in tjpe
world, who faid unto me, Art thou one of thofe who afierteft the truth o f the
refurrebiion ? After we fhall be dead, and reduced to duft and bones, fhall
we furely be judged ? ‘Then he fhall fay to his companions, Will ye look down ?
And he fhall look down, and fhall fee him in the midft of hell : and he
fhall fay unto him, By G o d , it wanted little but thou hadft drawn me into
ruin ; and had it not been for the grace of my L o r d , I had furely been
one of thofe who have been delivered up to eternal torment. Shall we die
any other than our firft death ; -or do we fuffer any punifhment ? Verily
this is great felicity : for the obtaining a felicity like this let the labourers labour.
Is this a better entertainment, or the tree of A l Z a k k u m d? Verily
we have defigned the fame for an occafion of difpute unto the unjuft'. It
is a tree which fiftieth from the bottom of hell: the fruit thereof refembleth
a With prefages of profperity i] Literally,from
the right-band. The words may alfo be ren-
dred, with force, to compel us; or, with an oath,
(wearing that ye were in the right.
b See chap. ic . p.212. not..e.
e Refembling the eggs of an oflricb, &c.J This
may feem an odd companion to an Europeans
but the orientals think nothing comes fo near
the colour of a'line woman’s skin, as that of an
oftrich’s ,egg when kept perfectly clean; '
d A l Zakkum.] There is a thorny tree fo called,
which grows in Tehama, and bears fruit like
an almond, but extremely bitter ;* and therefore
the fame name is given to. this infernal tree.
c An occafion of difpute;] The infidels not
conceiving how a tree could grow in hell,
where the Hones themfelves ferve for fewel.